## Source
(1)
## K2YMn (meta-GGA SCAN)

Data for a crystal of K2YMn relaxed with PBEsol.

The structure in POSCAR format:
```
K2YMn
1.0
3.5532 0.0322 0.0000
-0.3140 5.6176 0.0000
-1.6196 -2.8249 6.6636
K Mn Y
2 1 1
Direct
0.0000 0.0000 0.5000
0.5000 0.5000 0.5000
0.5000 0.0000 0.0000
0.0000 0.5000 0.0000
```

Properties
Space group ... C2/m
ΔH_f (0 K) ... 235.6 kJ/mol of formula units

***

(2)
## KZr4Mn (meta-GGA SCAN)

Data for a crystal of KZr4Mn relaxed with PBEsol.

The structure in POSCAR format:
```
KZr4Mn
1.0
5.8855 0.0000 0.0000
2.9427 5.0970 0.0000
2.9427 1.6990 4.8055
K Mn Zr
1 1 4
Direct
0.7500 0.7500 0.7500
0.0000 0.0000 0.0000
0.3719 0.3719 0.3719
0.3719 0.3719 0.8844
0.8844 0.3719 0.3719
0.3719 0.8844 0.3719
```

Properties
Space group ... F-43m
ΔH_f (0 K) ... 453.8 kJ/mol of formula units

***

Here are the calculated E_tot numbers, same order: -60.3 -144.7 (eV per cell).

~~~~~

Arrangement 1

This record from the Alexandria database describes SiAs2AuBr after structural relaxation. The functional is PBE.

total magnetization	1.0	Bohr magnetons per cell
V	134	Å³ per cell

Cell lengths 5.0593, 5.0593, 5.2174 Å; angles 90.00, 90.00, 90.00 degrees
Positions (direct):
Si: 0.5000 0.5000 0.5000
As: 0.0000 0.5000 0.0000
As: 0.5000 0.0000 0.0000
Br: 0.0000 0.0000 0.5000
Au: 0.0000 0.0000 0.0000



Arrangement 2

This record from the Alexandria database describes SiAs2AuBr after structural relaxation. The functional is PBE.

total magnetization	0.0	Bohr magnetons per cell
V	116	Å³ per cell

Cell lengths 4.8774, 4.8657, 4.8774 Å; angles 90.00, 90.00, 90.00 degrees
Positions (direct):
Br: 0.0000 0.5000 0.0000
Si: 0.0000 0.0000 0.0000
As: 0.5000 0.0000 0.0000
As: 0.0000 0.0000 0.5000
Au: 0.5000 0.5000 0.5000



Computed relative energies in units of meV per atom: arrangement 1 283; arrangement 2 0



Arrangement 1

This record from the Alexandria database describes SrAsAuBr2 after structural relaxation. The functional is PBE.

total magnetization	1.2	Bohr magnetons per cell
V	152	Å³ per cell

Cell lengths 5.4320, 5.4320, 5.1411 Å; angles 90.00, 90.00, 90.00 degrees
Positions (direct):
Br: 0.5000 0.0000 0.0000
Br: 0.0000 0.5000 0.0000
As: 0.0000 0.0000 0.5000
Au: 0.0000 0.0000 0.0000
Sr: 0.5000 0.5000 0.5000



Arrangement 2

This record from the Alexandria database describes SrAsAuBr2 after structural relaxation. The functional is PBE.

total magnetization	2.0	Bohr magnetons per cell
V	234	Å³ per cell

Cell lengths 5.7246, 5.7246, 7.1468 Å; angles 90.00, 90.00, 90.00 degrees
Positions (direct):
Au: 0.5000 0.5000 0.5000
Br: 0.0000 0.5000 0.0000
Br: 0.5000 0.0000 0.0000
As: 0.0000 0.0000 0.5000
Sr: 0.0000 0.0000 0.0000



Computed relative energies in units of meV per atom: arrangement 1 0; arrangement 2 407

~~~~~

The following is a PBE calculation of an optimized crystal structure of ReSb, from the Alexandria database.

The value obtained for the formation energy (no corrections) is 43.5 kJ per mole of atoms. The calculation puts the energy relative to the lowest polymorph listed for this composition at 44.6 kJ/mol of formula units. As for the crystal system: monoclinic. The calculation puts the density of states at the Fermi level at 0.585 states/eV per atom.

It has space group Cm (No. 8), with a = 11.129 Å, b = 3.095 Å, c = 7.301 Å, α = 90.00°, β = 112.08° and γ = 90.00°. The asymmetric unit holds Re at (0.000, 0.000, 0.000), Re at (0.092, 0.500, 0.770), Re at (0.314, 0.000, 0.753), Sb at (0.102, 0.500, 0.370), Sb at (0.265, 0.000, 0.082) and Sb at (0.393, 0.500, 0.511).

~~~~~

[1]
Material: ScGa4CoNi2
Method: DFT, PBE-GGA
State: relaxed

Calculated values
* spin magnetization: 0.4 μB per formula unit
* space-group type: R-3m, No. 166
* crystal system: trigonal
* DFT formation energy: -398 meV/atom

Cell lengths 4.045, 4.045, 8.523 Å; angles 76.27, 76.27, 60.00 degrees
Last column: magnetic moment on the atom in μB.
Fractional positions:
Sc  0.000  0.000  0.000  0.00
Ni  0.764  0.764  0.708  0.05
Ni  0.236  0.236  0.292  0.05
## Work order
Could you search the rows above for the word "same" and retype each line that has it?
## Result
Here are the calculated E_tot numbers, same order: -60.3 -144.7 (eV per cell).